World Day of Prayer for the Sick
Wednesday the 11th of Feb is the Feast of Our Lady Of Lourdes .
It is World Day of Prayer for those who are sick. We think of the many people who are sick and not well in our parish, particularly those in hospital at the moment. The courage, bravery and mind set of so many of these people is inspirational. We think and pray for each of them and all those who care and look after our sick. We also ask God's healing in our lives too. There are areas where we all need healing. Wednesday is a good day to pray for such healing.
Lord, gently lay your hands on our sick and on me today.
Gently bring your blessings on us and especially your healing.
I also would like to pray and include ……………
(Mention their names here in your own quiet prayer)
# Unrelated to this piece: calculated crystals
********
# 1
28
Lattice="-1.546 -6.046 0.007 0.335 -3.459 -5.183 9.983 -2.677 2.284" Properties=species:S:1:pos:R:3 comment="GGA-PBE Li4Nb3Cu3Te2O16, optimized geometry" crystal_system=monoclinic final_energy_ev_per_atom=-6.5394 energy_corrected_mp2020_ev_per_atom=-6.9320 e_form_kcal_per_mol_atoms=-48.1 vol_a3_per_atom=12.55 pbc="T T T"
O 7.398 -5.417 1.839
O 5.673 -4.900 -0.385
O 0.384 -6.684 -3.191
O 1.685 -10.269 -4.507
O 2.907 -7.598 -4.372
O 7.540 -6.850 -0.680
O 0.962 -3.445 -3.172
O 8.374 -4.076 -0.853
O 0.014 -4.749 -0.557
O 5.027 -9.805 -3.064
O 2.045 -8.782 -1.995
O 2.918 -5.916 -1.890
O 0.751 -1.810 -0.630
O 4.690 -7.569 -0.296
O 8.097 -2.182 1.847
O 5.623 -6.286 -2.870
Cu 6.988 -3.516 0.781
Cu 1.867 -5.472 -3.806
Cu 0.944 -6.740 -1.261
Nb 6.213 -6.445 0.825
Nb 1.365 -8.420 -3.701
Nb 7.151 -5.156 -1.762
Li 8.227 -8.752 -1.379
Li 3.587 -4.324 -0.855
Li 0.004 -0.007 -0.002
Li 4.762 -1.352 1.052
Te -0.226 -3.139 -1.646
Te 4.142 -7.389 -2.181



# 2
20
Lattice="-5.599 -3.037 1.031 3.494 -3.356 -4.301 3.299 0.420 5.610" Properties=species:S:1:pos:R:3 comment="GGA-PBE LiTi3NbCu3O12, optimized geometry" crystal_system=triclinic final_energy_ev_per_atom=-7.4590 energy_corrected_mp2020_ev_per_atom=-7.8712 e_form_kcal_per_mol_atoms=-57.7 vol_a3_per_atom=10.54 pbc="T T T"
O 3.165 -3.027 -1.646
O -1.969 -2.968 4.048
O 4.344 -2.494 2.071
O 1.699 -1.381 1.594
O -0.469 -4.596 0.726
O 0.611 -3.502 3.103
O -1.087 -1.955 1.483
O -0.250 -4.938 -2.015
O 2.242 -4.047 0.909
O 1.454 -0.991 4.364
O -3.071 -3.491 0.237
O 0.569 -2.503 -0.773
Cu 2.321 -4.669 -0.965
Cu 2.231 -2.767 3.963
Cu -2.180 -4.508 1.674
Nb 0.463 -1.114 6.096
Ti -0.588 -4.217 4.432
Ti 0.558 -2.884 1.090
Ti 5.035 -3.139 -1.566
Li 0.739 -5.595 1.968



# 3
20
Lattice="-0.161 0.830 -2.758 -3.102 -4.662 -1.221 -10.561 6.364 2.530" Properties=species:S:1:pos:R:3 comment="GGA-PBE LiCu2O2, optimized geometry" crystal_system=orthorhombic final_energy_ev_per_atom=-4.9580 energy_corrected_mp2020_ev_per_atom=-5.2328 e_form_kcal_per_mol_atoms=-28.4 vol_a3_per_atom=10.40 pbc="T T T"
Cu -5.569 -1.839 -2.491
Cu -6.197 -0.157 -0.440
Cu -12.341 2.264 -0.862
Cu -3.858 0.395 -1.918
Cu -7.626 2.688 -1.009
Cu -9.966 2.136 0.470
Cu -1.482 0.268 -0.587
Cu -8.254 4.370 1.042
O -5.437 1.310 -1.551
O -4.025 -2.806 -2.872
O -2.240 -0.494 -2.280
O -7.106 -0.827 -2.097
O -8.386 1.221 0.103
O -6.718 3.359 0.648
O -9.798 5.338 1.423
O -11.584 3.025 0.832
Li -4.971 2.308 0.230
Li -11.056 4.816 -0.169
Li -2.767 -2.285 -1.280
Li -8.852 0.223 -1.679



# 4
16
Lattice="3.873 4.208 0.000 -3.873 4.208 0.000 0.000 4.208 4.821" Properties=species:S:1:pos:R:3 comment="GGA-PBE LiCu3O4, optimized geometry" crystal_system=monoclinic final_energy_ev_per_atom=-5.0569 energy_corrected_mp2020_ev_per_atom=-5.4004 e_form_kcal_per_mol_atoms=-26.5 vol_a3_per_atom=9.82 pbc="T T T"
Cu 0.000 4.208 0.000
Cu 1.936 4.208 2.410
Cu -1.936 4.208 2.410
Cu -1.936 2.104 0.000
Cu 0.000 6.312 2.410
Cu 1.936 2.104 0.000
O -1.851 6.067 2.880
O -0.011 8.218 2.202
********
Anointing of The Sick & Veneration of the Relic of St Bernadette.
The 10am Mass on Wed. 11th Feb. will be offered for the Sick and Housebound and their Carers. The Anointing of the Sick and the blessing with the Relic of St. Bernadette will take place after the 10am & 6pm Masses.
The Theme in Lourdes for 2009 is The Way of Bernadette. Last year was the Jubilee Year and many who went on Pilgrimage to Lourdes took part in The Jubilee Way following in the steps of St Bernadette, from her Baptismal Font in the Parish Church, the family home during the apparitions called The Cachot (an old disused prison cell) The Grotto and The Hospice The Chapel in which she received her First Holy Communion. In actual fact the Jubilee Year finished with the last apparition. This year the journey continues with the eight years after the apparitions and onwards to Nevers where she entered the convent and lived for almost another 20 years.
Offertory Collection
Last week's Offertory Collection 2,456 – many thanks for your generosity.
The Parish Assembly will meet on this Mon. 9th Feb. in the Parish Centre at 8pm
"Do This in Memory."
The Parent Representatives of the Four First Holy Communion Classes will meet in Fr Kerry's House on this Mon. 9th Feb. at 7.30pm. The next Do this in Memory Mass will be on the next Sun. 15th Feb. at 10.30
We welcome to the Christian Community Cynthia Kaniewski and Fionn Patrick Hayes who were baptised recently in Christ King Church.
We remember in our prayers Mai Twomey, Connolly Rd. who died recently. We extend our sincere sympathy and prayers to her family.
Diocesan Pilgrimage to Lourdes Collection
The special collection will be taken up at all Masses this weekend 7/8 Feb. in aid of the Annual Diocesan Pilgrimage to Lourdes.
This collection subsidises individuals whose health and/or means would otherwise prevent them from travelling to Lourdes. It also subsidises the travel of essential care personnel.
Catholic Papers on sale at the back of the Church. The series of articles on St. Paul continues in The Irish Catholic.
ALIVE The Catholic Monthly Newspaper is available free at the back of the church.
St. Joseph's Young Priests Society
Monthly meeting in the Parish Centre on Tuesday next 10th Feb. after the 10am Mass.
"Come Apart and Rest for a While"
SATURDAY – 21st February – 10.30am – 4.30pm
Meditative inputs and guided reflections to help us enter the Lenten Season, concluding with celebration of the Eucharist.
Led by: Martina Lehane Sheehan
30 (includes light lunch soup & roll)
Booking essential – Phone 021-4502520
"From Cork around the world
Praying the Stations of the Cross with our brothers and sisters.
Stations of the Cross (newly composed) will be presented along with the launch of Trócaire's Lent campaign.
When: Tues. 17th Feb. 2009 8:00pm
Where: Christ the King Church, Turner's Cross
Each parish who attends will be given a free copy of this new
Stations of the Cross which includes images from around the world, with scripture, prayer and music.
On the night we will demonstrate how lay groups in parishes can lead the Stations of the Cross in their church during Lent
Mass Cards and Cards for the Friday Shared Mass are available in the Sacristy after Mass. The Shared Mass every Friday at 10 am is offered for the sick, for those who have died and for your special intentions.
Tory Top Library, Ballyphehane
Friday 13th Feb. at 11.00a.m. Cúpla Focal Group meeting. All welcome. Beidh cupán tae le fáil freisin.
2,000 school children from Cork are preparing for an outstanding music and culture project called "The Crossing". These young people represent 42 schools that will be performing in City Hall, Cork with the renowned Cross Border Orchestra conducted by Maestro Gearóid Grant. The concerts take place at 3pm and 8pm on Saturday 28th February and 1pm and 6pm on Sunday 1st March. More details next week.
Important Dates:
11th Feb. Our Lady of Lourdes – Blessing of the Sick after 10am & 6pm Masses
17th Feb. Stations of the Cross (newly composed) will be presented along with the launch of Trócaires Lent campaign – at Turners Cross Church. at 8pm
25th Feb. Ash Wednesday
4th March First Confessions Girls
5th March First Confessions Boys
10th March Service of Light for those preparing for Confirmation and their Parents
25th March Parish Confirmations
4/5th April. Penitential Rites
12th April Easter Sunday
9th & 16th May First Holy Communions
Parenting Course.
Recently, the Parish Assembly organised a Parenting Course for the parents of young children, it was very successful and parents found it very helpful. We now plan to organise a course (six weeks) for the parents of teenage children If there is sufficient interest The course will begin in February in the Parish Centre. Please contact any member of the Parish Assembly or one of the priests. 087-2610276
Ministers of the Eucharist
New Rotas now available from the Sacristy.
A thought when life is affected by illness.
I asked God for strength that I might achieve
I was made weak that I might learn to humbly obey
I asked for health that I might do great things
I was given illness that I might do better things.
I asked for riches that I might be happy
I was given poverty that I might be wise
I asked for power that I might have praise
I was given weakness that I might find God.
I asked for all things that I might enjoy life
I was given life that I might enjoy all things
I got nothing that I had hoped for yet almost despite myself
my unspoken prayer was answered.
I am among most people most richly blessed.